So, you’ve gone through the horror of a break up and you’re officially over your ex
. Phew! You can finally exhale, right? Well, you can if your ex
is out of the picture. But, some men just don’t understand the meaning of “good bye” and won’t leave you alone. I’ve been following the hilarious Instagram account TextsFromYourEx and it just made me think that there could be a lot of ladies out there who need help showing their ex
the door once and for all. And in some cases, an ex
getting in touch is not funny at all and can even be violating. So, here’s my advice.
Misplaced crystal structures.
- - -
Record 1
Compound: Sm4Tm3Tl
Source: the Alexandria database
Functional: PBE
Structure: optimized geometry

abc: 6.2058 7.0845 11.2193
angles: 90.00 90.00 90.00
Element x y z (fractional)
Sm 0.9900 0.1324 0.2313
Sm 0.1206 0.8686 0.5000
Sm 0.6721 0.1308 0.5000
Sm 0.9900 0.1324 0.7687
Sm 0.4900 0.8676 0.7313
Sm 0.4900 0.8676 0.2687
Sm 0.6206 0.1314 0.0000
Sm 0.1721 0.8692 0.0000
Tm 0.6502 0.6292 0.0000
Tm 0.4704 0.3834 0.7467
Tm 0.9704 0.6166 0.2467
Tm 0.9704 0.6166 0.7533
Tm 0.1502 0.3708 0.5000
Tm 0.4704 0.3834 0.2533
Tl 0.6516 0.6058 0.5000
Tl 0.1516 0.3942 0.0000

energy of formation: -0.05 eV/atom
space-group type: Pmn2_1 (31)
DOS(E_F): 21.092 states/eV per cell



Record 2
Compound: SmTm4Tl7
Source: the Alexandria database
Functional: PBE
Structure: optimized geometry

abc: 5.7123 9.8131 7.2779
angles: 81.29 66.89 73.08
Element x y z (fractional)
Tm 0.2823 0.3272 0.1082
Tm 0.4163 0.7831 0.3843
Tm 0.7177 0.6728 0.8918
Tm 0.5837 0.2169 0.6157
Tl 0.5000 0.0000 0.0000
Tl 0.7865 0.8940 0.5330
Tl 0.0802 0.6686 0.1709
Tl 0.9198 0.3314 0.8291
Tl 0.6355 0.4520 0.2770
Tl 0.2135 0.1060 0.4670
Tl 0.3645 0.5480 0.7230
Sm 0.0000 0.0000 0.0000

energy of formation: -0.08 eV/atom
space-group type: C2/m (12)
DOS(E_F): 6.898 states/eV per cell



Record 3
Compound: SmTm3Tl2
Source: the Alexandria database
Functional: PBE
Structure: optimized geometry

abc: 5.3826 7.4346 9.5723
angles: 112.85 106.33 90.00
Element x y z (fractional)
Sm 0.0000 0.5000 0.0000
Sm 0.0000 0.0000 0.0000
Tl 0.3457 0.8459 0.6918
Tl 0.3461 0.3459 0.6918
Tl 0.6539 0.6541 0.3082
Tl 0.6543 0.1541 0.3082
Tm 0.5000 0.7500 0.0000
Tm 0.5000 0.2500 0.0000
Tm 0.1790 0.9290 0.3580
Tm 0.8210 0.0710 0.6420
Tm 0.8210 0.5710 0.6420
Tm 0.1790 0.4290 0.3580

energy of formation: -0.17 eV/atom
space-group type: Cmmm (65)
DOS(E_F): 14.589 states/eV per cell



Record 4
Compound: SmTm5Tl6
Source: the Alexandria database
Functional: PBE
Structure: optimized geometry

abc: 5.3449 9.2609 9.2609
angles: 120.21 106.83 106.83
Element x y z (fractional)
Tl 0.7459 0.5769 0.9153
Tl 0.2541 0.0847 0.4231
Tl 0.7459 0.9153 0.5769
Tl 0.2541 0.4231 0.0847
Tl 0.2432 0.7427 0.7427
Tl 0.7568 0.2573 0.2573
Tm 0.5000 0.1643 0.8357
Tm 0.0000 0.3329 0.6671
Tm 0.0000 0.6671 0.3329
Tm 0.5000 0.8357 0.1643
Tm 0.5000 0.5000 0.5000
Sm 0.0000 0.0000 0.0000

energy of formation: -0.30 eV/atom
space-group type: C2/m (12)
DOS(E_F): 9.613 states/eV per cell



Record 5
Compound: Sm6Tm3Tl
Source: the Alexandria database
Functional: PBE
Structure: optimized geometry

abc: 3.5915 12.2931 14.7050
angles: 93.86 90.00 90.00
Element x y z (fractional)
Sm 0.2500 0.3794 0.5472
Sm 0.7500 0.1122 0.0019
Sm 0.2500 0.7012 0.2520
Sm 0.7500 0.2988 0.7480
Sm 0.2500 0.8086 0.6075
Sm 0.7500 0.7944 0.8120
Sm 0.2500 0.8878 0.9981
Sm 0.2500 0.5632 0.8892
Sm 0.2500 0.2056 0.1880
Sm 0.7500 0.4368 0.1108
Sm 0.7500 0.6206 0.4528
Sm 0.7500 0.1914 0.3925
Tl 0.7500 0.6879 0.0578
Tl 0.2500 0.3121 0.9422
Tm 0.7500 0.9505 0.1978
Tm 0.7500 0.9003 0.4195
- - -
Be clear
If your ex is trying to weasel his way back into your life, be clear with him once and then stick to your guns. For example, if he won’t stop texting you, send him a final text that says something along the lines of, “This is the last text I’m going to send you. This relationship is over and I’d appreciate if you’d stop texting me. I’m going to block you and will not be able to respond to your texts moving forward.” And then really go ahead and block him. You also need to be clear with your friends and family. Make sure they’re not giving him the wrong signals by telling him to continue to pursue you. They won’t know exactly how done you are with him unless you flat-out tell them.
Document what he does
If he continues to make contact after your final clear communication, start documenting what he does. Screen grab texts. Make a list of phone calls. Save letters. Whatever you do, though, don’t engage. You’ve made yourself as clear as possible with the previous step, so restating your point won’t help the situation. You can’t force somebody to listen to you. So, just keep a record of everything because you’re going to need it for the next step.
Take action and get help
If you don’t feel safe, abort the record keeping step and skip straight to this one. But, if his contact is more annoying that anything else, once you have a record of what he’s doing, you can got moving. First, you may want to change your number and block him from any and all social media outlets. Because you can’t block him if he gets a new screen name, you might want to make your feeds private for a while. Stay at a friend’s house or arrange for a long trip. And if it gets really bad, you of course should go to the authorities. This is where your record keeping will come in helpful. With the right evidence, the police can help you with protection through restraining orders or a lawyer (or even just a lawyer friend with fancy letterhead) can help you send a cease and desist. Don’t be afraid to take protecting yourself to the next level. After all, this is your well being we’re talking about.
Good luck shaking this ex. Really sorry you’re going through this. Just know that the problem is all him and nothing you’ve brought on yourself. You can get through this and meet a man who’s obsessed with you in the right way. I promise!
Photo credit: goingslo / CC BY